Listing:
┌──
Below is a relaxed structure of UBRh3, with properties calculated at the PBE level.

```
UBRh3
1.0
-2.581 -1.175 3.144
3.255 -1.841 1.985
0.816 3.627 2.026
U B Rh
1 1 3
Direct
0.000 0.000 0.000
0.500 0.500 0.500
0.000 0.500 0.500
0.500 0.500 0.000
0.500 0.000 0.500
```

Output
mass density	12.20	g/cm³
SG	Pm-3m, No. 221
size of the total moment	0.410	μB per atom
ΔH_f (0 K)	-52.4	kJ/mol of atoms



Below is a relaxed structure of YU2B12Rh12, with properties calculated at the PBE level.

```
YU2B12Rh12
1.0
-1.514 3.770 -3.459
0.789 -3.392 -4.042
-21.333 -7.001 1.709
B Y Rh U
24 2 24 4
Direct
0.000 0.667 0.451
0.500 0.831 0.717
0.831 0.500 0.283
0.000 0.667 0.118
0.667 0.000 0.882
0.667 0.000 0.549
0.169 0.500 0.617
0.833 0.500 0.951
0.500 0.169 0.383
0.500 0.833 0.049
0.500 0.167 0.049
0.500 0.831 0.383
0.000 0.333 0.784
0.167 0.500 0.951
0.333 0.000 0.549
0.000 0.667 0.784
0.169 0.500 0.283
0.500 0.169 0.717
0.667 0.000 0.216
0.000 0.333 0.451
0.333 0.000 0.216
0.333 0.000 0.882
0.831 0.500 0.617
0.000 0.333 0.118
0.000 0.000 0.333
0.000 0.000 0.667
0.752 0.500 0.050
0.250 0.500 0.716
0.248 0.500 0.050
0.500 0.750 0.617
0.500 0.752 0.950
0.500 0.250 0.284
0.250 0.500 0.383
0.000 0.748 0.883
0.000 0.748 0.215
0.252 0.000 0.785
0.748 0.000 0.785
0.748 0.000 0.117
0.500 0.750 0.284
0.500 0.248 0.950
0.500 0.250 0.617
0.750 0.500 0.716
0.000 0.747 0.549
0.747 0.000 0.451
0.000 0.252 0.883
0.253 0.000 0.451
0.000 0.253 0.549
0.252 0.000 0.117
0.000 0.252 0.215
0.750 0.500 0.383
0.500 0.500 0.833
0.500 0.500 0.167
0.000 0.000 0.000
0.500 0.500 0.500
```

Output
mass density	10.00	g/cm³
SG	P-4m2, No. 115
size of the total moment	0.110	μB per atom
ΔH_f (0 K)	-45.3	kJ/mol of atoms



Below is a relaxed structure of VZn10B8Rh18, with properties calculated at the PBE level.

```
VZn10B8Rh18
1.0
-4.261 17.249 -2.508
-9.735 -0.214 15.072
2.324 0.794 1.512
B Rh Zn V
16 36 20 2
Direct
0.626 0.670 0.000
0.665 0.961 0.000
0.670 0.374 0.000
0.835 0.461 0.000
0.374 0.330 0.000
0.165 0.539 0.000
0.170 0.126 0.000
0.126 0.830 0.000
0.539 0.835 0.000
0.335 0.039 0.000
0.039 0.665 0.000
0.461 0.165 0.000
0.961 0.335 0.000
0.330 0.626 0.000
0.830 0.874 0.000
0.874 0.170 0.000
0.659 0.289 0.500
0.826 0.547 0.500
0.246 0.587 0.500
0.587 0.754 0.500
0.674 0.047 0.500
0.341 0.711 0.500
0.159 0.211 0.500
0.841 0.789 0.500
0.087 0.746 0.500
0.547 0.174 0.500
0.402 0.566 0.500
0.066 0.902 0.500
0.789 0.159 0.500
0.418 0.082 0.500
0.434 0.402 0.500
0.754 0.413 0.500
0.211 0.841 0.500
0.582 0.918 0.500
0.953 0.674 0.500
0.566 0.598 0.500
0.934 0.098 0.500
0.746 0.913 0.500
0.174 0.453 0.500
0.598 0.434 0.500
0.098 0.066 0.500
0.453 0.826 0.500
0.254 0.087 0.500
0.326 0.953 0.500
0.047 0.326 0.500
0.711 0.659 0.500
0.902 0.934 0.500
0.289 0.341 0.500
0.913 0.254 0.500
0.413 0.246 0.500
0.082 0.582 0.500
0.918 0.418 0.500
0.968 0.811 0.000
0.669 0.169 0.000
0.450 0.950 0.000
0.050 0.450 0.000
0.791 0.291 0.000
0.811 0.032 0.000
0.689 0.532 0.000
0.311 0.468 0.000
0.532 0.311 0.000
0.831 0.669 0.000
0.032 0.189 0.000
0.550 0.050 0.000
0.291 0.209 0.000
0.331 0.831 0.000
0.709 0.791 0.000
0.189 0.968 0.000
0.209 0.709 0.000
0.169 0.331 0.000
0.950 0.550 0.000
0.468 0.689 0.000
0.500 0.500 0.000
0.000 0.000 0.000
```

Output
mass density	9.46	g/cm³
SG	P4/mbm, No. 127
size of the total moment	0.011	μB per atom
ΔH_f (0 K)	-39.4	kJ/mol of atoms



Below is a relaxed structure of YBRh3, with properties calculated at the PBE level.

```
YBRh3
1.0
-2.474 -3.165 -1.273
-0.771 -1.013 4.017
-3.323 2.591 0.015
Rh Y B
3 1 1
Direct
0.500 0.000 0.500
0.000 0.500 0.500
0.500 0.500 0.000
0.000 0.000 0.000
0.500 0.500 0.500
```

Output
mass density	9.06	g/cm³
SG	Pm-3m, No. 221
ΔH_f (0 K)	-74.7	kJ/mol of atoms

* * * * *

1.
Here is a geometry-optimized V2Cd6Se5O21 structure from the Materials Project database. Energies are from PBE with a Hubbard U.

abc: 15.629 5.549 24.501
angles: 90.00 94.35 90.00
Sites, in units of the cell vectors:
V 0.097 0.223 0.272
V 0.097 0.277 0.772
└──

Work order:
The reader should search the calculation results further up for the word "V2Cd6Se5O21" and give back each line that has it.

Response:
Here is a geometry-optimized V2Cd6Se5O21 structure from the Materials Project database. Energies are from PBE with a Hubbard U.